When people tell you that they will do their Wills later, or they prefer to write their Wills themselves, it can create headaches and incur extra costs for intended beneficiaries, says Precepts Legacy’s Ooi Li Sun.
In our job, one of the most common things we hear from people is “I can do my Will later.” Indeed, it is an individual’s choice as to when to write a Will, and no one can force that. However, a key question that has to be asked is whether this is the way to protect loved ones after death. Another way to frame it is how to prevent assets from being distributed to unintended persons.
Here is an example of how things can go wrong if you don’t write a Will. A few years ago, we dealt with a case involving a married elderly couple with no children in Singapore. The husband was diagnosed with stage 3 cancer. Upon his diagnosis, he immediately wrote his Will, bequeathing all his assets to his wife. If his wife did not survive him, his assets were to be distributed equally to his biological siblings. Meanwhile, his wife was reluctant to write her Will. There seemed to be no urgency as she was healthy at the time and her situation was different from her husband’s.
The couple stayed on a landed property together with the biological siblings of the wife. The property had been bought in the wife’s name and her siblings contributed financially to the purchase. The sad news is that the wife later died intestate before her cancer-suffering husband due to an acute illness. According to intestacy laws in Singapore, the husband was the sole beneficiary of his wife’s estate.
We came into the picture after the husband died as he named us the Executor in his Last Will and Testament. There were no changes to his Will even after the demise of his wife. The most problematic issue that we had to deal with after the husband’s death, centered around the estate’s most substantial asset, namely the landed property.
The biological siblings of the husband wanted us to convert the property into cash and were willing to pay for rental accommodation for the wife’s biological siblings who lived in the property. As expected, no one was willing to move out of the property. We had to engage our lawyer to apply for vacant possession and an eviction order. All these problems could have been avoided if the wife had written a Will herself.
Lifetime transfers can hit snags
Some may argue that these problems could have been avoided if the wife transferred the property to her biological siblings during her lifetime. Is lifetime transfer a good approach? As an example, we note the experience of an elderly mother who transferred her property to her only son. The son died prematurely in a car accident and his wife – the daughter-in-law of the elderly woman – was the sole beneficiary of her husband’s Last Will and Testament. She promptly evicted her mother-in-law from the property.
When the old lady approached us to seek a remedy, it was too late. Her property had been legally taken out of her hands. We could only recommend that she approach a lawyer to seek remedy or resolution or reinstate her rights via litigation. This is not the only such case that we have handled. We would always encourage people to write their Wills instead of doing such lifetime transfers. By writing a Will, you can have control over your assets, particularly your property assets that would otherwise be fiercely contested.
Writing your own Will is not a good idea
We also want to highlight people who take matters into their own hands by writing their own Wills just to save on Will-writing fees. Even after they have written their Wills, can they be sure that they clearly reflect their actual intentions? Will have to be worded meticulously. If there is any ambiguity or contradiction regarding distribution or instructions in the Will, it may cause unnecessary delays in administering the estate. Higher costs may also be incurred if a court’s direction or other guidance has to be sought.
As an example, we were the administrator for a Will that was badly drafted by the testator. It was a disaster – there was no indication of the date of the Will, the executor appointment clause was omitted, and the instructions for the distribution of assets were contradictory. We ended up spending more time than usual to get a Grant of Representation extracted from the Court.
After that, we also had to seek the court’s direction before distributing the assets in the estate to the beneficiaries named in the Will. All the incurred costs ended up being three times more than the cost of a usual application. This demonstrates that it is not worth saving on Will-writing fees when the estate ends up having to spend a substantial amount of money on estate administration costs.
Someone pasted materials data at this point >
1.
Diffraction record for Ac8Pm5Y. The XRD peak list is computed, not measured: it uses a GGA-PBE-relaxed structure and copper Kα.

The 6 most intense peaks (2θ = 5–70°), low angle first:
two_theta	I_rel
24.41	48
28.23	100
28.50	21
29.87	95
30.35	86
32.39	55

Cell and atoms:
Cell lengths 9.0965, 9.1118, 9.1841 Å; angles 114.02, 114.81, 99.55 degrees
Positions (direct):
Ac: 0.0000 0.0000 0.0000
Ac: 0.0474 0.3584 0.8702
Ac: 0.1603 0.9546 0.5711
Ac: 0.2111 0.5118 0.3635
Ac: 0.4898 0.8337 0.9059
Ac: 0.5917 0.3550 0.5359
Ac: 0.6787 0.7794 0.4568
Ac: 0.8159 0.6220 0.0803
Pm: 0.0091 0.6060 0.6414
Pm: 0.3125 0.8561 0.2176
Pm: 0.4654 0.2719 0.0942
Pm: 0.6353 0.1434 0.8040
Pm: 0.8439 0.1454 0.3511
Y: 0.3310 0.3878 0.7241


2.
Diffraction record for AcPm3Y3. The XRD peak list is computed, not measured: it uses a GGA-PBE-relaxed structure and copper Kα.

The 6 most intense peaks (2θ = 5–70°), low angle first:
two_theta	I_rel
15.47	22
22.08	38
31.24	100
31.62	81
45.05	26
56.08	20

Cell and atoms:
Cell lengths 6.9447, 6.9447, 6.9447 Å; angles 109.15, 109.15, 109.15 degrees
Positions (direct):
Ac: 0.0000 0.0000 0.0000
Pm: 0.5420 0.5420 0.9661
Pm: 0.5420 0.9661 0.5420
Pm: 0.9661 0.5420 0.5420
Y: 0.0439 0.0439 0.5150
Y: 0.0439 0.5150 0.0439
Y: 0.5150 0.0439 0.0439


3.
Diffraction record for AcPmY. The XRD peak list is computed, not measured: it uses a GGA-PBE-relaxed structure and copper Kα.

The 6 most intense peaks (2θ = 5–70°), low angle first:
two_theta	I_rel
29.12	100
29.55	30
33.88	65
48.38	23
48.95	25
57.72	27

Cell and atoms:
Cell lengths 3.7630, 3.7630, 9.0674 Å; angles 90.00, 90.00, 120.00 degrees
Positions (direct):
Ac: 0.0000 0.0000 0.0000
Pm: 0.6667 0.3333 0.3454
Y: 0.3333 0.6667 0.6623


4.
Diffraction record for AcPm12Y7. The XRD peak list is computed, not measured: it uses a GGA-PBE-relaxed structure and copper Kα.

The 6 most intense peaks (2θ = 5–70°), low angle first:
two_theta	I_rel
29.77	29
30.30	26
30.55	100
31.79	55
32.16	50
53.25	27

Cell and atoms:
Cell lengths 8.8537, 8.8537, 8.8537 Å; angles 88.90, 88.90, 88.90 degrees
Positions (direct):
Ac: 0.0000 0.0000 0.0000
Pm: 0.1383 0.2749 0.7215
Pm: 0.1416 0.6252 0.4958
Pm: 0.2749 0.7215 0.1383
Pm: 0.2785 0.8617 0.7251
Pm: 0.3748 0.5042 0.8584
Pm: 0.4958 0.1416 0.6252
Pm: 0.5042 0.8584 0.3748
Pm: 0.6252 0.4958 0.1416
Pm: 0.7215 0.1383 0.2749
Pm: 0.7251 0.2785 0.8617
Pm: 0.8584 0.3748 0.5042
Pm: 0.8617 0.7251 0.2785
Y: 0.0602 0.3880 0.1550
Y: 0.1550 0.0602 0.3880
Y: 0.3880 0.1550 0.0602
Y: 0.5000 0.5000 0.5000
Y: 0.6120 0.8450 0.9398
Y: 0.8450 0.9398 0.6120
Y: 0.9398 0.6120 0.8450


5.
Diffraction record for AcPm4Y8. The XRD peak list is computed, not measured: it uses a GGA-PBE-relaxed structure and copper Kα.

The 6 most intense peaks (2θ = 5–70°), low angle first:
two_theta	I_rel
15.84	12
19.43	14
25.16	12
31.99	100
45.87	18
57.01	36

Cell and atoms:
Cell lengths 7.9135, 7.9135, 7.9135 Å; angles 90.00, 90.00, 90.00 degrees
Positions (direct):
Ac: 0.0000 0.0000 0.0000
End of the materials data >
Writing a Will is one way of protecting your loved ones after you are gone. People should not delay this as no one can predict what is going to happen at the very next moment. While there is nothing in the Wills Act 1838 that restricts an individual from writing his or her own Will and therefore not compulsory to engage professionals to assist in his or her Will making, real-world experiences suggest that this is not the wisest move.
The above article first appeared on EPPL’s The Custodian, Issue 21.
#Wills #Estate Planning
Ooi Li Sun
Head of Department, Precepts Legacy
Wills and Estate Administration